What to do >
Now quote only the last part of the listing further below, starting with the line that has "-2.680".

Material >
The following is a quantum chemistry calculation of C25H36HoN8O2 as an isolated structure, from the OMol25 dataset.

Properties
E_HOMO (alpha / beta) (eV): -9.930 / -9.964
Energy (a.u.): -2510.8601
Charge: +1
2S+1: 5

Atoms and positions in Å:
Ho  0.296  0.104  0.113
C  -1.802  -2.336  1.725
N  -1.378  -0.941  1.894
C  -2.599  -0.086  1.931
C  -2.396  1.413  1.675
C  -2.579  1.842  0.213
N  -1.377  1.628  -0.606
C  -1.021  2.604  -1.385
C  0.150  2.743  -2.226
C  0.164  3.887  -3.053
C  1.234  4.206  -3.852
C  2.376  3.375  -3.833
C  2.403  2.259  -3.034
C  1.309  1.888  -2.230
O  1.400  0.797  -1.498
C  -0.661  -0.790  3.190
C  0.436  -1.801  3.500
C  1.602  -1.878  2.501
N  1.812  -0.583  1.875
C  2.808  0.147  2.285
C  2.996  1.538  1.973
C  4.227  2.148  2.269
C  4.428  3.491  2.058
C  3.366  4.282  1.565
C  2.139  3.721  1.299
C  1.914  2.342  1.486
O  0.728  1.827  1.250
H  -2.395  -2.679  2.582
H  -0.934  -2.992  1.610
H  -2.411  -2.419  0.826
H  -3.083  -0.233  2.899
H  -3.290  -0.477  1.180
H  -1.418  1.745  2.016
H  -3.132  1.953  2.271
H  -2.864  2.893  0.188
H  -3.412  1.276  -0.218
H  -1.665  3.478  -1.420
H  -0.706  4.538  -3.036
H  1.206  5.091  -4.476
H  3.240  3.624  -4.441
H  3.278  1.619  -2.996
H  -1.389  -0.853  4.007
H  -0.237  0.211  3.216
H  0.014  -2.798  3.636
H  0.823  -1.501  4.475
H  1.373  -2.607  1.729
H  2.495  -2.218  3.022
H  3.548  -0.298  2.952
H  5.030  1.533  2.665
H  5.388  3.942  2.276
H  3.517  5.344  1.401
H  1.312  4.317  0.926
C  -2.890  -4.350  -2.270
N  -2.627  -2.906  -2.286
C  -3.778  -2.011  -2.366
C  -1.479  -2.405  -1.744
N  -1.276  -1.194  -1.366
N  -0.468  -3.353  -1.629
C  0.873  -3.081  -1.375
N  1.700  -4.014  -1.921
N  1.242  -2.089  -0.651
H  -3.818  -4.536  -2.800
H  -2.984  -4.752  -1.258
H  -2.124  -4.916  -2.804
H  -4.563  -2.504  -2.930
H  -3.519  -1.098  -2.899
H  -4.175  -1.748  -1.379
H  -2.061  -0.592  -1.553
H  -0.652  -4.245  -2.038
H  1.401  -4.598  -2.680
H  2.687  -3.907  -1.804
H  2.249  -2.017  -0.621

***

The following is a quantum chemistry calculation of a 2-piece molecular cluster, C6H16IN2S overall, from the OMol25 dataset.

Properties
E_HOMO (alpha / beta) (eV): -10.100 / -12.016
Energy (a.u.): -1043.1339
Charge: +1
2S+1: 3

Atoms and positions in Å:
C  0.832  -2.512  0.360
C  -0.965  -1.827  1.965
C  0.609  2.628  1.692
C  0.834  1.951  -0.847
C  -1.050  -0.233  -3.065
C  -0.699  -0.835  -0.379
N  -0.371  -1.674  0.563
N  0.879  1.514  0.659
S  0.004  -1.102  -1.965
I  -2.221  0.504  0.209
H  1.017  -3.142  1.239
H  0.488  -3.239  -0.456
H  1.635  -1.812  0.032
H  -1.071  -2.878  2.184
H  -0.176  -1.508  2.696
H  -1.957  -1.335  2.172
H  0.874  1.996  2.643
H  1.367  3.471  1.534
H  -0.432  3.017  1.674
H  1.281  2.910  -1.059
H  1.399  1.167  -1.374
H  -0.228  1.950  -1.257
H  -0.437  0.648  -3.428
H  -1.955  0.075  -2.606
H  -1.404  -0.840  -3.890
H  1.748  1.108  0.706

***

The following is a quantum chemistry calculation of one molecule with the formula C6H13N, from the OMol25 dataset.

Properties
E_HOMO (eV): -8.975
Energy (a.u.): -291.0757
SMILES string: C/C=C(\C)CCN

Atoms and positions in Å:
C  -1.675  -2.204  -1.194
C  -1.235  -0.909  -0.456
C  -0.016  -0.339  -0.407
C  1.142  -0.932  -1.232
C  0.079  1.129  0.136
C  0.499  1.310  1.509
N  0.677  2.630  2.272
H  -2.105  -2.882  -0.318
H  -2.280  -2.206  -2.068
H  -0.846  -2.883  -1.415
H  -2.163  -0.491  -0.017
H  2.212  -0.822  -0.908
H  1.015  -2.010  -1.460
H  1.182  -0.477  -2.204
H  0.797  1.516  -0.584
H  -0.766  1.755  0.073
H  -0.228  0.890  2.233
H  1.491  0.852  1.565
H  0.777  3.423  1.549
H  1.442  2.649  2.923

***

The following is a quantum chemistry calculation of C28H44AlN2O17S as an isolated structure, from the OMol25 dataset.

Properties
E_HOMO (eV): -4.354
Energy (a.u.): -3122.1877
Charge: -1

Atoms and positions in Å:
C  -2.573  -0.596  1.044
C  -2.271  -1.529  -0.074
Al  -2.088  -1.058  -2.061
C  -3.523  0.208  -2.797
C  -4.414  0.992  -1.667

Result >
H  1.401  -4.598  -2.680
H  2.687  -3.907  -1.804
H  2.249  -2.017  -0.621

***

The following is a quantum chemistry calculation of a 2-piece molecular cluster, C6H16IN2S overall, from the OMol25 dataset.

Properties
E_HOMO (alpha / beta) (eV): -10.100 / -12.016
Energy (a.u.): -1043.1339
Charge: +1
2S+1: 3

Atoms and positions in Å:
C  0.832  -2.512  0.360
C  -0.965  -1.827  1.965
C  0.609  2.628  1.692
C  0.834  1.951  -0.847
C  -1.050  -0.233  -3.065
C  -0.699  -0.835  -0.379
N  -0.371  -1.674  0.563
N  0.879  1.514  0.659
S  0.004  -1.102  -1.965
I  -2.221  0.504  0.209
H  1.017  -3.142  1.239
H  0.488  -3.239  -0.456
H  1.635  -1.812  0.032
H  -1.071  -2.878  2.184
H  -0.176  -1.508  2.696
H  -1.957  -1.335  2.172
H  0.874  1.996  2.643
H  1.367  3.471  1.534
H  -0.432  3.017  1.674
H  1.281  2.910  -1.059
H  1.399  1.167  -1.374
H  -0.228  1.950  -1.257
H  -0.437  0.648  -3.428
H  -1.955  0.075  -2.606
H  -1.404  -0.840  -3.890
H  1.748  1.108  0.706

***

The following is a quantum chemistry calculation of one molecule with the formula C6H13N, from the OMol25 dataset.

Properties
E_HOMO (eV): -8.975
Energy (a.u.): -291.0757
SMILES string: C/C=C(\C)CCN

Atoms and positions in Å:
C  -1.675  -2.204  -1.194
C  -1.235  -0.909  -0.456
C  -0.016  -0.339  -0.407
C  1.142  -0.932  -1.232
C  0.079  1.129  0.136
C  0.499  1.310  1.509
N  0.677  2.630  2.272
H  -2.105  -2.882  -0.318
H  -2.280  -2.206  -2.068
H  -0.846  -2.883  -1.415
H  -2.163  -0.491  -0.017
H  2.212  -0.822  -0.908
H  1.015  -2.010  -1.460
H  1.182  -0.477  -2.204
H  0.797  1.516  -0.584
H  -0.766  1.755  0.073
H  -0.228  0.890  2.233
H  1.491  0.852  1.565
H  0.777  3.423  1.549
H  1.442  2.649  2.923

***

The following is a quantum chemistry calculation of C28H44AlN2O17S as an isolated structure, from the OMol25 dataset.

Properties
E_HOMO (eV): -4.354
Energy (a.u.): -3122.1877
Charge: -1

Atoms and positions in Å:
C  -2.573  -0.596  1.044
C  -2.271  -1.529  -0.074
Al  -2.088  -1.058  -2.061
C  -3.523  0.208  -2.797
C  -4.414  0.992  -1.667